It remains to repeat the rows further below word for word.
/*
1.
NaAlCl3 after structural relaxation. Source: Alexandria via LeMat-Bulk, functional PBEsol.

Geometry as CIF:
```
data_NaAlCl3
_cell_length_a 4.9444
_cell_length_b 4.9444
_cell_length_c 4.9444
_cell_angle_alpha 90.00
_cell_angle_beta 90.00
_cell_angle_gamma 90.00
_symmetry_space_group_name_H-M 'P 1'
_symmetry_Int_Tables_number 1
_symmetry_space_group_name_Hall 'P 1'
loop_
_atom_site_label
_atom_site_fract_x
_atom_site_fract_y
_atom_site_fract_z
_atom_site_occupancy
Cl1 0.0000 0.5000 0.0000 1
Cl2 0.5000 0.0000 0.0000 1
Cl3 0.0000 0.0000 0.5000 1
Al1 0.0000 0.0000 0.0000 1
Na1 0.5000 0.5000 0.5000 1
```

Results
uncorrected formation energy: -6.07 eV per formula unit
symmetry: No. 221
magnetic moment: 0.00 μB/f.u.

---

2.
NaAl3Cl after structural relaxation. Source: Alexandria via LeMat-Bulk, functional PBEsol.

Geometry as CIF:
```
data_NaAl3Cl
_cell_length_a 5.2769
_cell_length_b 5.2769
_cell_length_c 5.2769
_cell_angle_alpha 90.00
_cell_angle_beta 90.00
_cell_angle_gamma 90.00
_symmetry_space_group_name_H-M 'P 1'
_symmetry_Int_Tables_number 1
_symmetry_space_group_name_Hall 'P 1'
loop_
_atom_site_label
_atom_site_fract_x
_atom_site_fract_y
_atom_site_fract_z
_atom_site_occupancy
Na1 0.0000 0.0000 0.0000 1
Al1 0.0000 0.5000 0.0000 1
Al2 0.5000 0.0000 0.0000 1
Al3 0.0000 0.0000 0.5000 1
Cl1 0.5000 0.5000 0.5000 1
```

Results
uncorrected formation energy: 4.65 eV per formula unit
symmetry: No. 221
magnetic moment: 0.00 μB/f.u.

---

3.
Na4Al3Si3ClO12 after structural relaxation. Source: Alexandria via LeMat-Bulk, functional PBEsol.

Geometry as CIF:
```
data_Na4Al3Si3ClO12
_cell_length_a 7.7131
_cell_length_b 7.6976
_cell_length_c 7.6976
_cell_angle_alpha 70.88
_cell_angle_beta 70.02
_cell_angle_gamma 109.23
_symmetry_space_group_name_H-M 'P 1'
_symmetry_Int_Tables_number 1
_symmetry_space_group_name_Hall 'P 1'
loop_
_atom_site_label
_atom_site_fract_x
_atom_site_fract_y
_atom_site_fract_z
_atom_site_occupancy
Al1 0.7415 0.2521 0.5076 1
Al2 0.2585 0.7509 0.4895 1
Al3 0.5000 0.2514 0.2486 1
O1 0.5905 0.5877 0.7148 1
O2 0.6966 0.9882 0.6056 1
O3 0.3034 0.6978 0.7085 1
O4 0.4324 0.0023 0.2756 1
O5 0.0029 0.4209 0.2882 1
O6 0.4095 0.6946 0.0029 1
O7 0.2860 0.5669 0.4097 1
O8 0.5676 0.2920 0.4301 1
O9 0.9971 0.7089 0.5819 1
O10 0.2814 0.2909 0.2728 1
O11 0.7186 0.4458 0.9905 1
O12 0.7140 0.3043 0.7191 1
Na1 0.6505 0.9998 0.9939 1
Na2 0.0023 0.6494 0.0012 1
Na3 0.3495 0.3555 0.6507 1
Na4 0.9977 0.9965 0.3529 1
Si1 0.2416 0.4886 0.2497 1
Si2 0.7584 0.5087 0.7530 1
Si3 0.5000 0.7465 0.7535 1
Cl1 0.0000 0.0003 0.9997 1
```

Results
uncorrected formation energy: -61.26 eV per formula unit
symmetry: No. 5
magnetic moment: 0.06 μB/f.u.

---

4.
Na4Al3Si9ClO24 after structural relaxation. Source: Alexandria via LeMat-Bulk, functional PBEsol.

Geometry as CIF:
```
data_Na4Al3Si9ClO24
_cell_length_a 7.6058
_cell_length_b 9.2904
_cell_length_c 9.3109
_cell_angle_alpha 80.50
_cell_angle_beta 66.33
_cell_angle_gamma 66.43
_symmetry_space_group_name_H-M 'P 1'
_symmetry_Int_Tables_number 1
_symmetry_space_group_name_Hall 'P 1'
loop_
_atom_site_label
_atom_site_fract_x
_atom_site_fract_y
_atom_site_fract_z
_atom_site_occupancy
O1 0.5641 0.9031 0.3534 1
O2 0.8488 0.6081 0.2915 1
O3 0.4175 0.3722 0.1084 1
O4 0.8598 0.2920 0.4042 1
O5 0.2995 0.5798 0.8034 1
O6 0.9074 0.6495 0.9016 1
O7 0.5477 0.8046 0.1111 1
O8 0.6452 0.8912 0.8118 1
O9 0.1145 0.1733 0.5687 1
O10 0.5831 0.7047 0.5870 1
O11 0.4435 0.0964 0.6508 1
O12 0.7421 0.3828 0.6999 1
O13 0.4735 0.1905 0.8950 1
O14 0.3497 0.1068 0.1953 1
O15 0.1413 0.4109 0.7082 1
O16 0.5630 0.6325 0.9043 1
O17 0.0941 0.3500 0.0874 1
O18 0.8900 0.8177 0.4211 1
O19 0.2131 0.8890 0.3663 1
O20 0.2623 0.6019 0.3031 1
O21 0.1189 0.7009 0.6007 1
O22 0.4325 0.3053 0.3955 1
O23 0.8006 0.0931 0.6339 1
O24 0.6749 0.4378 0.1818 1
Si1 0.8797 0.2417 0.5737 1
Si2 0.3296 0.2529 0.0714 1
Si3 0.1232 0.5784 0.7503 1
Si4 0.4190 0.9275 0.2535 1
Si5 0.5863 0.0700 0.7495 1
Si6 0.6616 0.7444 0.9318 1
Si7 0.4489 0.4280 0.2515 1
*/
1.
NaAlCl3 after structural relaxation. Source: Alexandria via LeMat-Bulk, functional PBEsol.

Geometry as CIF:
```
data_NaAlCl3
_cell_length_a 4.9444
_cell_length_b 4.9444
_cell_length_c 4.9444
_cell_angle_alpha 90.00
_cell_angle_beta 90.00
_cell_angle_gamma 90.00
_symmetry_space_group_name_H-M 'P 1'
_symmetry_Int_Tables_number 1
_symmetry_space_group_name_Hall 'P 1'
loop_
_atom_site_label
_atom_site_fract_x
_atom_site_fract_y
_atom_site_fract_z
_atom_site_occupancy
Cl1 0.0000 0.5000 0.0000 1
Cl2 0.5000 0.0000 0.0000 1
Cl3 0.0000 0.0000 0.5000 1
Al1 0.0000 0.0000 0.0000 1
Na1 0.5000 0.5000 0.5000 1
```

Results
uncorrected formation energy: -6.07 eV per formula unit
symmetry: No. 221
magnetic moment: 0.00 μB/f.u.

---

2.
NaAl3Cl after structural relaxation. Source: Alexandria via LeMat-Bulk, functional PBEsol.

Geometry as CIF:
```
data_NaAl3Cl
_cell_length_a 5.2769
_cell_length_b 5.2769
_cell_length_c 5.2769
_cell_angle_alpha 90.00
_cell_angle_beta 90.00
_cell_angle_gamma 90.00
_symmetry_space_group_name_H-M 'P 1'
_symmetry_Int_Tables_number 1
_symmetry_space_group_name_Hall 'P 1'
loop_
_atom_site_label
_atom_site_fract_x
_atom_site_fract_y
_atom_site_fract_z
_atom_site_occupancy
Na1 0.0000 0.0000 0.0000 1
Al1 0.0000 0.5000 0.0000 1
Al2 0.5000 0.0000 0.0000 1
Al3 0.0000 0.0000 0.5000 1
Cl1 0.5000 0.5000 0.5000 1
```

Results
uncorrected formation energy: 4.65 eV per formula unit
symmetry: No. 221
magnetic moment: 0.00 μB/f.u.

---

3.
Na4Al3Si3ClO12 after structural relaxation. Source: Alexandria via LeMat-Bulk, functional PBEsol.

Geometry as CIF:
```
data_Na4Al3Si3ClO12
_cell_length_a 7.7131
_cell_length_b 7.6976
_cell_length_c 7.6976
_cell_angle_alpha 70.88
_cell_angle_beta 70.02
_cell_angle_gamma 109.23
_symmetry_space_group_name_H-M 'P 1'
_symmetry_Int_Tables_number 1
_symmetry_space_group_name_Hall 'P 1'
loop_
_atom_site_label
_atom_site_fract_x
_atom_site_fract_y
_atom_site_fract_z
_atom_site_occupancy
Al1 0.7415 0.2521 0.5076 1
Al2 0.2585 0.7509 0.4895 1
Al3 0.5000 0.2514 0.2486 1
O1 0.5905 0.5877 0.7148 1
O2 0.6966 0.9882 0.6056 1
O3 0.3034 0.6978 0.7085 1
O4 0.4324 0.0023 0.2756 1
O5 0.0029 0.4209 0.2882 1
O6 0.4095 0.6946 0.0029 1
O7 0.2860 0.5669 0.4097 1
O8 0.5676 0.2920 0.4301 1
O9 0.9971 0.7089 0.5819 1
O10 0.2814 0.2909 0.2728 1
O11 0.7186 0.4458 0.9905 1
O12 0.7140 0.3043 0.7191 1
Na1 0.6505 0.9998 0.9939 1
Na2 0.0023 0.6494 0.0012 1
Na3 0.3495 0.3555 0.6507 1
Na4 0.9977 0.9965 0.3529 1
Si1 0.2416 0.4886 0.2497 1
Si2 0.7584 0.5087 0.7530 1
Si3 0.5000 0.7465 0.7535 1
Cl1 0.0000 0.0003 0.9997 1
```

Results
uncorrected formation energy: -61.26 eV per formula unit
symmetry: No. 5
magnetic moment: 0.06 μB/f.u.

---

4.
Na4Al3Si9ClO24 after structural relaxation. Source: Alexandria via LeMat-Bulk, functional PBEsol.

Geometry as CIF:
```
data_Na4Al3Si9ClO24
_cell_length_a 7.6058
_cell_length_b 9.2904
_cell_length_c 9.3109
_cell_angle_alpha 80.50
_cell_angle_beta 66.33
_cell_angle_gamma 66.43
_symmetry_space_group_name_H-M 'P 1'
_symmetry_Int_Tables_number 1
_symmetry_space_group_name_Hall 'P 1'
loop_
_atom_site_label
_atom_site_fract_x
_atom_site_fract_y
_atom_site_fract_z
_atom_site_occupancy
O1 0.5641 0.9031 0.3534 1
O2 0.8488 0.6081 0.2915 1
O3 0.4175 0.3722 0.1084 1
O4 0.8598 0.2920 0.4042 1
O5 0.2995 0.5798 0.8034 1
O6 0.9074 0.6495 0.9016 1
O7 0.5477 0.8046 0.1111 1
O8 0.6452 0.8912 0.8118 1
O9 0.1145 0.1733 0.5687 1
O10 0.5831 0.7047 0.5870 1
O11 0.4435 0.0964 0.6508 1
O12 0.7421 0.3828 0.6999 1
O13 0.4735 0.1905 0.8950 1
O14 0.3497 0.1068 0.1953 1
O15 0.1413 0.4109 0.7082 1
O16 0.5630 0.6325 0.9043 1
O17 0.0941 0.3500 0.0874 1
O18 0.8900 0.8177 0.4211 1
O19 0.2131 0.8890 0.3663 1
O20 0.2623 0.6019 0.3031 1
O21 0.1189 0.7009 0.6007 1
O22 0.4325 0.3053 0.3955 1
O23 0.8006 0.0931 0.6339 1
O24 0.6749 0.4378 0.1818 1
Si1 0.8797 0.2417 0.5737 1
Si2 0.3296 0.2529 0.0714 1
Si3 0.1232 0.5784 0.7503 1
Si4 0.4190 0.9275 0.2535 1
Si5 0.5863 0.0700 0.7495 1
Si6 0.6616 0.7444 0.9318 1
Si7 0.4489 0.4280 0.2515 1